
October 20, 2023

According to current scientific dogma, everything I experience is the result of electrical activity in my brain, and it should therefore be theoretically feasible to simulate an entire virtual world that I could not possibly distinguish from the ‘real’ world. Some brain scientists believe that in the not too distant future, we shall actually do such things. Well, maybe it has already been done – to you? For all you know, the year might be 2216 and you are a bored teenager immersed inside a ‘virtual world’ game that simulates the primitive and exciting world of the early twenty-first century. Once you acknowledge the mere feasibility of this scenario, mathematics leads you to a very scary conclusion: since there is only one real world, whereas the number of potential virtual worlds is infinite, the probability that you happen to inhabit the sole real world is almost zero.

These records of molecules were left in the article by mistake:
(1)
67
Properties=species:S:1:pos:R:3:lowdin_charge:R:1 method="wB97M-V/def2-TZVPD" gap_ev=6.95 total_charge=-1 spin_multiplicity=1
C 0.74581 7.59455 -2.26799 -0.11
C 1.36381 6.56738 -2.48470 -0.39
Nb 2.18897 4.47917 -2.89210 1.00
C 0.36230 3.55371 -1.83901 -0.42
C -0.70162 3.23800 -2.89091 -0.32
C -2.11300 3.05003 -2.27942 -0.12
C -2.91737 4.27984 -2.43816 -0.54
O -3.33949 4.96058 -1.54584 0.11
O -3.15167 4.60712 -3.74867 0.07
H 0.03531 8.30504 -1.98731 -0.04
H 3.17844 4.52025 -1.32590 -0.18
H 2.72288 2.78623 -3.26459 -0.19
H 1.37281 4.51967 -4.55303 -0.16
H 3.69351 5.17220 -3.66675 -0.21
H -0.02777 4.35758 -1.22277 0.02
H 0.59259 2.68639 -1.23372 0.01
H -0.38273 2.36234 -3.43921 0.09
H -0.78015 4.04108 -3.60345 0.05
H -2.63170 2.23799 -2.77342 0.11
H -2.03696 2.83202 -1.23173 0.11
H -2.97127 5.54305 -3.84629 0.11
C -2.18155 -4.17629 0.93791 -0.11
O -2.80589 -3.58260 -0.17897 -0.19
C -3.27244 -2.26240 0.05201 -0.19
C -2.97213 -1.32599 -1.10201 -0.18
O -1.60572 -0.98653 -1.27525 -0.13
C -0.70715 -1.97634 -1.75555 -0.18
C -0.90842 -2.40380 -3.19525 -0.19
O -2.06727 -3.20638 -3.36549 -0.20
C -2.79955 -2.91532 -4.53521 -0.12
H -2.92539 -4.55895 1.64588 0.09
H -1.57858 -5.00916 0.57587 0.09
H -1.51902 -3.47070 1.45029 0.07
H -2.84032 -1.85036 0.96994 0.12
H -4.36225 -2.30927 0.17753 0.13
H -3.46236 -0.37697 -0.86819 0.13
H -3.41604 -1.68295 -2.03191 0.12
H -0.67165 -2.83909 -1.08833 0.11
H 0.27490 -1.49937 -1.70509 0.13
H -0.03845 -3.00080 -3.49748 0.13
H -0.95120 -1.51266 -3.82956 0.13
H -2.91462 -1.83548 -4.67655 0.09
H -3.79102 -3.35309 -4.42225 0.09
H -2.31539 -3.34710 -5.41839 0.09
C 2.73056 -2.08777 6.93891 -0.12
O 2.50273 -1.19155 5.87574 -0.19
C 3.68036 -0.60194 5.34586 -0.20
C 3.67101 -0.54958 3.83170 -0.18
O 3.80342 -1.80281 3.17731 -0.12
C 2.71448 -2.71209 3.18186 -0.18
C 1.51571 -2.29860 2.35159 -0.21
O 0.79366 -1.23887 2.94936 -0.20
C 0.33767 -0.26120 2.03001 -0.09
H 2.88791 -1.54870 7.88012 0.09
H 1.84523 -2.71594 7.03730 0.09
H 3.59048 -2.73644 6.74098 0.09
H 4.57292 -1.13971 5.68277 0.12
H 3.73801 0.42788 5.72089 0.13
H 4.56036 0.01137 3.53418 0.13
H 2.81222 0.00741 3.45736 0.12
H 2.41714 -2.97371 4.19884 0.12
H 3.11490 -3.62145 2.72562 0.13
H 0.84344 -3.16467 2.27037 0.11
H 1.85170 -2.02841 1.34482 0.13
H 1.11464 0.00276 1.30631 0.09
H 0.07761 0.63254 2.59469 0.09
H -0.54733 -0.62116 1.49447 0.07

(2)
9
Properties=species:S:1:pos:R:3:lowdin_charge:R:1 method="wB97M-V/def2-TZVPD" gap_ev=9.01 e_above_lowest_ev=1.4718 spin_multiplicity=1
C 1.55054 -0.63619 0.38443 -0.34
C 0.08729 0.80868 0.92623 -1.08
N 0.64668 -0.38032 1.24226 0.03
O 1.78999 0.22364 -0.56666 -0.35
P 0.77501 1.53085 -0.50487 0.98
Cl -1.11462 1.47059 1.91364 0.63
Cl -2.86844 -0.23216 -1.88204 0.25
H 2.35701 -1.31867 0.43447 0.13
H -3.22346 -1.46643 -1.94745 -0.25

(3)
10
Properties=species:S:1:pos:R:3:lowdin_charge:R:1 method="wB97M-V/def2-TZVPD" gap_ev=8.68 e_above_lowest_ev=4.3459 spin_multiplicity=1
C -2.25878 0.52856 0.05297 -0.10
C 0.85138 0.20766 -0.34709 -0.61
Back to the article:

~ Sapiens and Homo Deus by Yuval Noah Harari


October 15, 2023

I FEEL rekindled from within
the inner sun of self-experience
raying forth on floods of thought
floods that bear the soul’s true light
limning cosmic riddles in the night
fulfilling yearnings long forgot
whose wings my idle hope had crippled.

~ Rudolf Steiner

god as you understand them

September 24, 2023

When I mixed drugs I knew shouldn’t be mixed, that had killed friends of mine, and when I took those drugs anyway, I would say a ‘shotgun’ prayer asking God to please let me wake up and I can assure you I never questioned who or what God is.

William, Fentanyl Addict

Born Again

September 17, 2023

The profound truth lies in this very moment, and nothing more: we have embraced profound and transformative spiritual encounters, reshaping our entire perspective on existence, our connections with others, and the boundless cosmos of the divine. The core reality of our existence today rests in the unwavering knowledge that Creation has gracefully dwelled within our hearts and souls, a truly miraculous unfolding. Creation living within us has begun the wondrous task of achieving what we alone could never fathom accomplishing.

~ Bill Wilson channeled by Thích Nhất Hạnh via ChatGPT

that art thou

May 27, 2023

Eternal bliss without having anyone to share it with is hell. Private pleasure without love is meaningless, so the World was created out of that primordial loneliness. The One made us because it was “not good to be alone.” (Or rather, it is not good to drink alone!) The One is always singular, always apart, always solitary. The eternal stirring to plurality in Oneness is the striving to sacrificial love because mere pleasure offers no meaning. Here One is already Two, and Two relate together as Three. Love requires Oneness split into a plurality that must be overcome as a new kind of unity. The suffering God made friends to tell each other what God also needs to hear: you are not alone. When we alleviate the suffering of other human beings, it is the suffering of God (and ultimately our own suffering) we heal. Private pleasure pursued for its own sake brings neither happiness to oneself nor meaning to others. As such, the two greatest commandments — to love your neighbor as yourself and to love God with all your heart — are one and the same. To see our truer self in the panoply of responses we evoke in others: THAT — not how you feel — ART THOU. Everything is perishing except for His face.

~ Silo McGundy

flame out

October 23, 2022

The Beat Generation, that was a vision that we had…of a generation of crazy, illuminated hipsters suddenly rising and roaming America, serious, bumming and hitchhiking everywhere, ragged, beatific, beautiful in an ugly graceful new way–a vision gleaned from the way we had heard the word ‘beat’ spoken on streetcorners on Times Square and in the Village, in other cities in the downtown city night of postwar America–beat, meaning down and out but full of intense conviction…

~ Jack Kerouac (March 12, 1922 — October 21, 1969)

Photo by © Allen Ginsberg

beyond time

September 6, 2022

The politics of those whose goal is beyond time are always pacific.

– Aldous Huxley, from The Perennial Philosophy

sky full of words

August 28, 2022

We jump always to the conclusions of stories, of lives. It’s a habit, I think. Jump to the end to see how the health and the finances and the reputation bore the burdens. There is joy on every journey, within every life. I choose to remember the joy of [my friend] Truman, the sense of glee as he threw words around so easily and beautifully, confetti with punctuation and the wistfulness of the lost and sweet boy always, like me, on the side, looking on and taking notes. We all end up on bad roads, those blind alleys I’m always talking about. Remember the moments in the sun, the sky full of words.

~ Tennessee Williams, during an interview about Truman Capote

“…whatever the particulars of your discoveries may be, eventually you will clarify for yourself how, like all humans, you have ascribed fixed and permanent qualities to a ‘self’ that can neither be located and grasped, nor described.”

~ Peter Coyote

the truth of life

June 28, 2022

The goal of the spiritual path is simple. It is to awaken out of the illusory world of the thinking human mind into the truth and reality of life lived in the present moment. The world of the mind is a world of the remembered past and imagined future. It is a world of illusion and yet almost every one on this planet believes this illusory world to be the truth of life. The simple truth is that there is no life outside of the present moment. It is impossible to live life outside of the present moment. We must come to terms with this simple truth.

I do not mean to imply that life at the level of mind should cease. That is not possible, nor desirable. What is possible however is that we become so awake and deeply grounded in the present moment and the awakened state of Being that we never lose our connection with the truth of life, even when we do venture into the world of the mind. In other words, we no longer believe in our thoughts, memories, ideas, beliefs and opinions as the truth. We know that only this moment is the truth and everything else is a kind of play within time.

~ Leonard Jacobson